Activity:
Now search the calculation results below for the word "molecular" and retype each line that has it.

Contents:
┌──
# 1
Computed, not measured: a molecular structure, C6H3PS at a distorted geometry, with the ωB97M-V functional and the def2-TZVPD basis.

- HOMO-LUMO gap: 6.98 eV
- Lowest unoccupied orbital energy: -0.0751 Ha
- Total charge: 0

Each line ends with the Löwdin charge.
Positions of all 11 atoms, in Å:
C  -1.371154  4.166399  -1.760860  0.157
C  -1.149170  3.154968  -1.133606  -0.134
C  -0.983790  2.045796  -0.390000  -0.043
C  -0.660831  1.125575  0.312962  -0.043
C  -0.378227  -0.067672  0.907291  -0.202
C  0.210036  -0.890169  1.575498  -0.117
P  1.435580  -3.243220  0.094157  0.368
S  0.886799  -3.139388  1.990702  0.336
H  -1.868195  4.954212  -2.108493  -0.008
H  1.176176  -4.684314  0.117443  -0.105
H  2.702776  -3.422187  0.394907  -0.208

Forces on the atoms, in the same order (eV/Å):
C 1.155 -3.437 1.926
C -0.569 1.674 -1.010
C 0.678 -0.206 0.343
C -0.557 -0.661 -0.367
C 0.624 0.510 0.519
C 0.825 -4.359 1.077
P -1.653 -1.351 -2.420
S -2.174 4.466 1.728
H -1.226 2.885 -1.539
H 0.109 0.769 -0.366
H 2.786 -0.289 0.109



# 2
Computed, not measured: a molecular structure, C24H18Cl2NO3PSe2W, with the ωB97M-V functional and the def2-TZVPD basis.

- Multiplicity: 2
- HOMO-LUMO gap (alpha / beta): 6.21 / 6.39 eV
- Lowest unoccupied orbital energy (alpha / beta): -0.1559 / -0.1668 Ha
- Total charge: +1
- ⟨S²⟩: 0.7635

Each line ends with the Löwdin charge.
Positions of all 52 atoms, in Å:
W  -0.039635  0.307380  1.418126  0.621
Se  1.579602  1.672147  0.576216  0.298
P  1.411064  -1.493589  0.426884  0.951
Se  0.782718  -0.319936  3.414672  0.355
C  3.103620  -1.642006  0.986240  -0.476
C  4.144468  -1.074079  0.248441  -0.122
C  5.446756  -1.178001  0.707366  -0.059
C  5.714221  -1.848404  1.894324  -0.057
C  4.680815  -2.415582  2.626236  -0.062
C  3.374158  -2.313243  2.177183  -0.132
C  1.372527  -1.861171  -1.316302  -0.407
C  0.235595  -1.511395  -2.059800  -0.118
C  0.143383  -1.856532  -3.396112  -0.070
C  1.172659  -2.563767  -4.007361  -0.059
C  2.289180  -2.937849  -3.272080  -0.059
C  2.389131  -2.600232  -1.934113  -0.081
H  3.931922  -0.544217  -0.672328  0.107
H  6.252405  -0.731028  0.140811  0.113
H  6.732854  -1.927049  2.249691  0.112
H  4.892227  -2.939145  3.548666  0.113
H  2.566922  -2.757198  2.746907  0.088
H  -0.568994  -0.978522  -1.579913  0.069
H  -0.737128  -1.586400  -3.965615  0.112
H  1.098866  -2.834981  -5.051943  0.112
H  3.082051  -3.502162  -3.744096  0.114
H  3.257171  -2.906236  -1.363492  0.106
Cl  -7.402454  0.309860  2.402327  0.712
C  -5.694945  0.561182  2.320348  -0.655
C  -5.152327  1.772704  2.763479  -0.081
C  -3.794845  1.985327  2.710800  -0.570
Cl  -3.135052  3.490231  3.242687  0.755
C  -2.909852  1.002379  2.220435  -0.350
O  -1.626574  1.235044  2.235740  -0.326
C  -3.482143  -0.205122  1.750870  -0.117
C  -2.695810  -1.241803  1.184404  -0.111
O  -1.463343  -1.234608  0.984091  -0.211
C  -4.876096  -0.412038  1.820089  -0.039
H  -5.800325  2.546512  3.151384  0.119
H  -3.221306  -2.151027  0.879005  0.154
H  -5.293831  -1.346551  1.468170  0.124
O  -1.272348  0.874298  -0.382415  -0.312
N  -1.129826  2.029672  -1.028143  -0.208
C  -0.443566  2.052836  -2.179925  -0.029
C  -0.293052  3.235235  -2.872406  -0.012
C  -0.835702  4.402409  -2.359859  -0.024
C  -1.519375  4.350296  -1.154351  -0.005
C  -1.654370  3.146899  -0.499206  0.005
H  -0.037166  1.107925  -2.505189  0.124
H  0.256474  3.227759  -3.802159  0.124
H  -0.723854  5.339152  -2.887172  0.123
H  -1.950477  5.235071  -0.709509  0.126
H  -2.156379  3.029544  0.447893  0.115

Forces on the atoms, in the same order (eV/Å):
W 0.353 0.193 0.366
Se -0.054 0.064 0.144
P -0.174 0.003 -0.245
Se 0.006 -0.042 -0.019
C 0.068 0.030 -0.042
C 0.042 0.011 0.089
C -0.016 0.015 -0.018
C -0.014 -0.001 -0.009
C 0.023 -0.024 0.043
C 0.030 0.037 -0.062
C -0.076 -0.070 0.004
C 0.109 -0.102 -0.009
C -0.002 -0.008 -0.041
C -0.016 0.017 0.018
C 0.017 -0.012 -0.024
C 0.077 -0.007 0.055
H 0.019 0.008 0.017
H 0.011 0.002 0.005
└──

Response:
Computed, not measured: a molecular structure, C6H3PS at a distorted geometry, with the ωB97M-V functional and the def2-TZVPD basis.
Computed, not measured: a molecular structure, C24H18Cl2NO3PSe2W, with the ωB97M-V functional and the def2-TZVPD basis.